View the many different precautionary and emergency measures that you can take to prepare and properly respond to a flooding event in Edwardsburgh Cardinal. Learn how the Township provides communication and other resources to help keep you as safe as possible.

Before a flood

There are many things you can do to be as prepared as possible in the case of an unexpected flooding event in the Township of Edwardsburgh Cardinal.

Know your risks

Floods are typically caused by melting snow, ice jams, heavy spring rains and summer thunderstorms. Flash flooding is caused by violent rain storms or breaking dams — often occurring with little or no warning. They can damage property and cause serious harm.

Not sure if your home is located in a flood prone area? You can contact South Nation Conservation via email or by calling 1-977-984-2948 to order a Property Inquiry Service for a nominal fee.

The International Joint Commission monitors elevated Great Lake water levels and makes recommendations to the Canadian and United States governments in the event of flooding or other natural waterway occurrences.

Stay informed

South Nation Conservation keeps all residents informed of local flood alerts and messaging. View their website or the South Nation Twitter account for more information and updates.

Data records, kept here for reference:
=====
Molecular formula: C2H3BrN4
Method: DFT, wB97M-V/def2-TZVPD

The geometry in XYZ format:
```
10
Properties=species:S:1:pos:R:3:forces:R:3
C 0.50090 -1.48430 -2.28777 -0.4 1.7 1.5
C 0.08745 0.21480 -0.67581 4.8 -2.9 2.7
N 0.93363 -2.42726 -2.76603 0.5 -1.1 -0.7
N -0.04363 -0.42128 -1.70876 -0.8 -0.8 -2.6
N -0.61992 1.02517 -0.01210 -4.4 2.5 -1.1
N 1.53650 -0.09847 0.50864 -1.2 -2.2 -4.4
Br 0.82772 -1.20543 1.87297 -0.2 0.1 0.2
H -1.58034 1.34393 -0.41629 2.5 -0.6 1.4
H -0.18838 1.32384 0.81804 -0.1 0.9 1.2
H 1.95378 -0.91641 -0.14399 -0.7 2.5 1.8
```
Forces are in eV/Å.

The multiplicity is 1. The value obtained for the relative energy (zero: lowest compared OMol25 entry of this formula, charge and spin) is 1.7989 eV. As for the HOMO energy: -9.46 eV. The calculation puts the orbital gap at 9.3 eV. For the total energy, the calculation gives -78122.11477 eV.

----------

Molecular formula: C6H6Cl2LaN2O3Sc
Method: DFT, ωB97M-V/def2-TZVPD

Structure (XYZ):
```
21
Properties=species:S:1:pos:R:3:forces:R:3:nbo_charge:R:1
La -0.936841 -0.403265 -2.881917 -5.070 0.124 1.426 2.102
Sc -0.032287 -0.181712 0.071309 -2.868 -1.918 3.132 1.566
Cl -1.416007 -2.205223 -0.746045 1.293 1.547 -0.988 -0.388
Cl -1.262186 1.852954 -1.236804 1.204 -2.041 0.266 -0.410
O 1.628165 2.444817 1.202344 -3.181 -5.155 -2.347 -0.165
O 0.326706 -3.221725 -4.732186 -1.451 4.932 2.877 -0.147
O 0.477144 1.549108 -5.504514 -1.824 -3.882 4.532 -0.133
N -0.730368 -0.823846 4.306069 -0.217 0.260 -2.295 -0.301
N -0.810252 -0.717930 1.868611 0.862 0.808 -4.065 -0.709
C -1.747397 -0.091788 5.080111 -1.023 0.507 0.534 -0.424
C 0.492680 -1.360925 4.923747 0.968 -0.735 0.334 -0.423
C 0.132112 0.832557 -4.656677 3.550 5.783 -7.281 0.314
C -0.820949 -0.815638 3.025336 0.437 0.002 4.901 0.801
C 0.035343 -2.256433 -4.160795 2.771 -7.333 -4.501 0.323
C 1.066803 1.514899 0.779648 4.728 7.256 3.302 0.390
H 0.422166 -1.179716 6.001650 0.043 -0.104 -0.320 0.288
H 0.565806 -2.440445 4.722509 -0.086 0.313 0.215 0.269
H -2.726525 -0.572730 4.947542 0.294 0.064 0.172 0.272
H -1.443091 -0.126964 6.130503 -0.151 0.012 -0.268 0.283
H -1.818339 0.954860 4.738881 0.167 -0.388 0.161 0.252
H 1.391016 -0.864755 4.515178 -0.446 -0.053 0.212 0.242
```
Positions in Å, forces in eV/Å.

DFT total energy: -2278.45762 hartree
net charge: +4
energy relative to the best compared isomer or geometry (same formula, charge and spin): 62.0 kcal per mole
frontier orbital gap (spin up / spin down): 5.1 / 5.1 eV
=====

Follow Township updates on our news pages and through our Facebook and X(twitter) accounts during a flooding or emergency situation. 

The Province of Ontario also provides a current flood risk map.

Prepare an emergency plan and kit

In an emergency, you may be asked to evacuate your home. Thinking about what you would do in different situations and preparing a plan and emergency kit with every member of your family is the first step to being prepared.

Protect your property

Consider these steps to protect your property before a flood:

-- Unrelated to this entry: records of molecules --
____________
Entry 1:
A cluster of 2 separate species, C3H11N3O in total, computed with wB97M-V/def2-TZVPD.

CARTESIAN COORDINATES (ANGSTROEM)
C  -1.0321  -0.4839  0.4906
C  -2.1131  -0.1195  -0.4917
C  1.3225  -1.1068  -0.0645
N  0.1040  -0.8709  0.1349
N  -3.4725  -0.4778  0.0005
N  3.3352  1.0481  0.0510
O  1.7778  -2.2949  -0.2204
H  -1.2535  -0.3857  1.5539
H  -2.0755  0.9663  -0.6512
H  -1.9356  -0.6070  -1.4544
H  2.0723  -0.1786  -0.0680
H  -3.5775  -1.4976  0.1251
H  -4.1887  -0.1758  -0.6805
H  -3.6897  -0.0237  0.9040
H  4.0831  0.8785  -0.6155
H  3.7511  1.0524  0.9775
H  2.9686  1.9762  -0.1332
H  2.7385  -2.3815  -0.3665

Values from the calculation:
HOMO energy = -17.3897 eV
LUMO = -8.43 eV
net charge = +2

Here are the Mulliken charges for atoms 1 to 4, given in e: number 1, C, carries -0.180; number 2, C, carries -0.481; number 3, C, carries 0.328; number 4, N, carries 0.080


Entry 2:
A cluster of 2 separate species, C3H11N3O2 in total, computed with wB97M-V/def2-TZVPD.

CARTESIAN COORDINATES (ANGSTROEM)
N  0.9350  -1.6583  -1.7954
C  -0.2140  -1.5038  -0.8778
C  -0.7645  -0.0314  -0.9963
N  -0.2949  0.9581  0.0812
C  -0.8430  0.8020  1.3895
N  -2.0576  0.1542  1.7936
O  -0.0167  1.1899  2.2352
H  0.8933  -2.5321  -2.1871
H  0.9776  -0.8715  -2.6053
H  0.0636  -1.6705  0.1743
H  -1.1092  -2.1820  -1.1621
H  -0.2525  0.3268  -1.9731
H  -1.8585  -0.0978  -0.8503
H  0.7439  1.2316  0.2533
H  -2.2974  0.4922  2.7272
H  -2.7815  0.0756  0.9858
O  2.5874  0.5093  -1.1047
H  2.4804  -0.3866  -0.6179
H  3.4255  0.2414  -1.4373

Values from the calculation:
HOMO energy = -9.1072 eV
LUMO = 0.75 eV
net charge = 0
structure (SMILES) = NCCNC(N)=O.O

Here are the Mulliken charges for atoms 1 to 4, given in e: number 1, N, carries -0.506; number 2, C, carries -0.364; number 3, C, carries -0.522; number 4, N, carries -0.260


Entry 3:
A cluster of 2 separate species, C3H11N3O2 in total, computed with wB97M-V/def2-TZVPD.

CARTESIAN COORDINATES (ANGSTROEM)
N  -1.3724  -2.5326  -1.3643
C  -0.6511  -1.3245  -1.6826
N  -0.4963  -0.4476  -0.5178
C  0.7499  0.3639  -0.5116
C  0.4332  1.5876  0.2856
N  -0.2628  2.5724  -0.3323
O  0.7543  1.6921  1.4606
H  -2.2796  -2.3745  -0.9681
H  -0.8188  -3.2832  -0.9793
H  -1.2751  -0.7936  -2.4038
H  0.2597  -1.5675  -2.2372
H  -0.5300  -0.9921  0.3321
H  0.9820  0.5793  -1.5466
H  1.5173  -0.2448  -0.0627
H  -0.6196  3.2796  0.2876
H  -0.6386  2.4941  -1.2623
O  1.0566  -1.3135  2.3944
H  1.1688  -0.3764  2.1582
H  0.2665  -1.3329  2.9431

Values from the calculation:
HOMO energy = -9.0598 eV
LUMO = 0.85 eV
net charge = 0
structure (SMILES) = NCNCC(N)=O.O

Here are the Mulliken charges for atoms 1 to 4, given in e: number 1, N, carries -0.536; number 2, C, carries -0.527; number 3, N, carries -0.359; number 4, C, carries -0.758


Entry 4:
A cluster of 2 separate species, C3H11N3S in total, computed with wB97M-V/def2-TZVPD.

CARTESIAN COORDINATES (ANGSTROEM)
C  0.7929  1.8244  1.0071
C  -0.5539  1.7768  0.2829
____________

  • Put weather protection sealant around basement windows and ground-level doors
  • Install 'check valves' in sewer traps to prevent floodwater from backing up into the drains of your home
  • Install the drainage for downspouts a sufficient distance from your home to ensure water moves away from the building
  • Move documents and keepsakes out of the basement
  • Keep instructions for shutting off gas and water valves handy and read them carefully
  • Talk to your neighbours and plan to help each other during an emergency


To build an effective sandbag wall, ensure you follow these instructions:

  • The base area of your sandbag wall should be clear of ice and snow.
  • Leave at least eight feet between your sandbag wall and the building.
  • The base of your sandbag wall should be at least two feet wider than the expected water height.
  • Every second layer of bags should be set back one quarter of a bag width on the riverside and the land side of the sandbag wall giving a step-like appearance. The top of the finished wall should be two feet wide.
  • The bottom layer of bags on the river side will run parallel with the river.
  • It is recommended that 6 mL polyethylene sheets in 10-foot wide rolls be used as a water proofing layer on the river side of the sandbag wall. The poly sheet should be placed loosely against the sandbag dike during construction with a protective layer of sandbags placed on the river side.
  • Have extra sandbags on hand to strengthen any weak spots in the wall.
  • If you are using untied bags, the top or unfilled portion of the bag should be stretched lengthwise and the next bag laid on top of it. Untied bags should be filled to half-full with the open end facing upstream so that sand is not washed away.

Estimate how many sandbags you may need with this online calculator.

During a flood

If you are in a flooding emergency and require immediate assistance, please call 9-1-1.

Safety tips and instructions

If you are instructed by emergency officials to evacuate your home, do so immediately. 

If you are indoors:

  • Move essential items and any household chemicals to an upper floor
  • Disconnect electrical appliances and do not touch electrical equipment if you are wet or standing in water
  • Bring in outdoor furniture if you have time
  • Do not eat food that has come into contact with flood waters

If you are outdoors:

  • Move to higher ground if there is a chance of flooding
  • Do not walk through moving water
  • If you have to walk around, look for where the water is not moving and use a stick to check the ground in front of you
  • Keep children away from flood water
  • Do not drive through flood water

The Province of Ontario also provides instruction on what you can do during a flood to stay safe.

____________
No. 1
# C6H8S

C6H8S in the gas phase at a distorted geometry (ωB97M-V/def2-TZVPD, the OMol25 dataset).

Its total energy is -631.48398 hartree. The value obtained for the strongest force on any atom is 0.1024 Eh/bohr. For the HOMO energy, the calculation gives -7.416 eV. The structure (SMILES) is S[C@@]12C=CC[C@@H]1C2. The value obtained for the energy above the lowest of the compared OMol25 structures with the same formula, charge and spin is 67.3 kcal per mole. As for the total charge: 0. The HOMO-LUMO gap comes out at 8.386 eV.

```
15
C6H8S ωB97M-V/def2-TZVPD
S 2.814 0.179 -0.315
C 1.120 0.147 -0.038
C 0.371 1.309 0.318
C -0.900 1.290 -0.125
C -1.211 0.017 -0.842
C 0.077 -0.804 -0.655
C 0.348 -1.451 0.610
H 2.898 0.826 0.773
H 0.868 1.887 1.054
H -1.725 2.056 -0.051
H -2.118 -0.291 -0.389
H -1.282 0.022 -1.884
H 0.582 -1.286 -1.522
H -0.290 -1.400 1.496
H 1.076 -2.183 0.518
```

=====

No. 2
# C44H30Cl2NO15

A 8-piece molecular cluster, C44H30Cl2NO15 overall at a distorted geometry (ωB97M-V/def2-TZVPD, the OMol25 dataset).

Its total energy is -3798.15461 hartree. The value obtained for the strongest force on any atom is 0.0637 Eh/bohr. For the HOMO energy, the calculation gives -2.701 eV. As for the total charge: -1. The HOMO-LUMO gap comes out at 2.227 eV.

```
92
C44H30Cl2NO15 ωB97M-V/def2-TZVPD
O -6.574 3.551 -3.289
C -5.551 3.131 -3.627
Cl -4.591 2.221 -2.374
C -5.070 3.344 -5.081
N -4.254 4.532 -5.217
Cl -2.564 4.052 -5.339
H -5.983 3.435 -5.684
H -4.486 2.494 -5.468
C 0.871 0.099 -3.444
C -0.102 0.879 -3.912
C -1.509 0.412 -3.955
O -2.390 1.120 -4.378
C -1.789 -0.957 -3.452
C -0.815 -1.734 -2.983
C 0.588 -1.261 -2.944
O 1.478 -1.973 -2.509
H 1.903 0.422 -3.402
H 0.083 1.881 -4.278
H -2.822 -1.281 -3.488
H -0.997 -2.736 -2.610
C 0.478 2.038 1.901
C 0.215 1.868 0.608
C 1.099 2.436 -0.438
O 0.855 2.275 -1.613
C 2.287 3.203 0.012
C 2.549 3.374 1.305
C 1.664 2.802 2.349
O 1.900 2.949 3.532
H -0.154 1.631 2.681
H -0.646 1.311 0.260
H 2.921 3.610 -0.767
H 3.410 3.930 1.654
C 2.028 -7.611 -0.544
C 0.855 -7.041 -0.809
C 0.771 -5.796 -1.608
O -0.302 -5.276 -1.845
C 2.039 -5.209 -2.100
C 3.212 -5.780 -1.835
C 3.297 -7.027 -1.037
O 4.367 -7.550 -0.796
H 2.110 -8.519 0.040
H -0.078 -7.451 -0.460
H 1.955 -4.297 -2.678
H 4.149 -5.365 -2.183
C -0.217 -6.015 3.819
C -0.792 -5.088 4.582
C -1.957 -4.307 4.097
O -2.481 -3.462 4.791
C -2.456 -4.600 2.731
C -1.880 -5.527 1.969
C -0.718 -6.307 2.455
O -0.194 -7.155 1.759
H 0.634 -6.594 4.154
H -0.442 -4.860 5.581
H -3.306 -4.021 2.395
H -2.229 -5.753 0.969
C -1.476 3.577 -8.740
C -0.637 4.307 -9.473
C -0.938 4.649 -10.880
O -0.171 5.314 -11.551
C -2.213 4.149 -11.447
C -3.055 3.419 -10.720
C -2.754 3.075 -9.306
O -3.524 2.410 -8.650
H -1.272 3.320 -7.708
H 0.298 4.683 -9.077
H -2.416 4.410 -12.478
H -3.989 3.045 -11.118
C 4.726 -0.848 6.989
C 3.715 -1.677 6.740
C 2.479 -1.203 6.069
O 1.558 -1.960 5.845
C 2.413 0.229 5.685
C 3.427 1.056 5.934
C 4.661 0.583 6.604
O 5.586 1.336 6.830
H 5.635 -1.174 7.478
____________
### The piece goes on

Well and septic safety

If your water supply well has been exposed to flooding, it may be contaminated with colourless, tasteless and odourless bacteria or chemicals that can cause serious illness in humans and pets. Immediately discontinue use. Do not boil the water as this does not make it safe. Obtain and use potable water from a safe source instead.

Do not use systems while the drain field or tanks are covered with water. Resume system use once the water in the septic drain field is below the distribution pipes.

South Nation Conservation provides additional instruction on what to do with wells and septic systems after a flood.

Flooded roads and access concerns

In the event that road access to your home becomes flooded, erosion and ground saturation may create unstable conditions for emergency vehicle traffic trying to reach you. They may be delayed or unable to get to you in an emergency.

After a flood

 After a flood, ensure you follow Township news updates and public health updates.

Flood recovery and safety tips

The Canadian Red Cross shares a step-by-step guide to flood recovery and helpful information for what to do after flooding:

  • Do not return home until you are advised that it is safe to do so.
  • Contact your insurance company and let them know about what happened. They will need a record of damage to your home and belongings, and may request photos or video.
  • Maintain good hygiene during flood cleanup by minimizing contact with flood water or anything that may have come in contact with it.
  • Wear protective clothing, including rubber boots or sturdy boots, safety glasses, hard hat, rubber gloves and a dust mask if conditions require it.
  • Do not use water that could be contaminated.
  • Discard any food items which may have been in contact with flood waters. When in doubt, throw it out!
  • Do not use any appliances, heating, pressure or sewage systems until electrical components are dry and have been inspected by qualified professionals.

Bringing private wells back into service

The Leeds, Grenville and Lanark District Health Unit provides detailed instructions on safely bringing a private well back into service following a flood.

Impacts of flooded septic systems

The Leeds, Grenville and Lanark District Health Unit provides information on impacts of flooded septic systems, including:

  • Signs that indicate your septic system has been damaged by flood waters
  • Additional actions to take
  • Protecting your septic system from further damage

Sandbag disposal

Remove sandbags when there is no longer a risk of flooding. Sandbags that have come in contact with flood waters can be contaminated and pose a risk to your safety.

When disposing of sandbags:

  • Wear gloves and boots to protect yourself from scrapes and contaminants.
  • If your sandbag has been in contact with flood waters or if you suspect that sandbags have come into contact with industrial waste, fuel, oil or other chemicals, dispose your sandbags at permitted waste handling facilities.
  • Sand from used sandbags should not be used in sandboxes, playgrounds or other areas where it will be in contact with people.
  • Sand can be used to cover icy roads and sidewalks, mixed with concrete or mortar as a base for sidewalks or pavement, or for cover in a landfill.
  • Instead of disposing them, you can use empty sandbags for future use or for recycling.
  • You can reuse clean, dry and filled sandbags at other flood sites for up to six months.